Kill Shakespeare
Kill Shakespeare is an innovative Graphic Novel series that has often drawn comparisons to Fables, and is set in a world where many of the Bard's characters exist at the same time and interact with each other.
Inserted here: data records >
/*
# 1
VASP calculation (GGA-PBEsol) on LiIn2Se after structural relaxation.

Cell: 3.9866 4.3178 5.3938 Å, 90.00 90.00 93.02°
Fractional positions:
1 In 0.2564 0.2426 0.0000
2 In 0.7436 0.7574 0.0000
3 Li 0.0000 0.5000 0.5000
4 Se 0.5000 0.0000 0.5000

Properties
ΔE to the lowest computed polymorph = 87 meV per atom

# 2
VASP calculation (GGA-PBEsol) on LiInSe2 after structural relaxation.

Cell: 6.8186 7.2226 8.4210 Å, 90.00 90.00 90.00°
Fractional positions:
1 Li 0.0001 0.5881 0.8770
2 Li 0.5001 0.4119 0.1230
3 Li 0.5001 0.9119 0.3770
4 Li 0.0001 0.0881 0.6230
5 Se 0.6170 0.0806 0.1314
6 Se 0.1170 0.9194 0.8686
7 Se 0.1170 0.4194 0.6314
8 Se 0.6170 0.5806 0.3686
9 Se 0.1276 0.4171 0.1207
10 Se 0.6276 0.5829 0.8793
11 Se 0.6276 0.0829 0.6207
12 Se 0.1276 0.9171 0.3793
13 In 0.9980 0.5795 0.3743
14 In 0.4980 0.4205 0.6257
15 In 0.4980 0.9205 0.8743
16 In 0.9980 0.0795 0.1257

Properties
energy = -4.003 eV per atom

Magnetic moment for the records above, in order: 0.000, 0.000 μB/cell
*/
Here the piece continues >
The story begins in Denmark, where Hamlet is in the midst of his attempt to avenge the death of his father, who was murdered by none other than his uncle Claudius. After accidentally killing Polonius, Hamlet is sent away from court as per the plot of the play, carrying his Please Shoot the Messenger missive. And that's where things start to change from what you know.
On board the ship, (the Antonio) Rosencrantz tells Hamlet that he and Guildenstern looked at the message and what its contents were. Rosencrantz offers their support in Hamlet's attempt to win back his father's throne, but the death of Polonius and the visions that have been haunting Hamlet since just before they left Denmark have left questioning his actions and even his sanity. Hamlet's brooding is cut short when a group of pirates attack, and despite resisting, the crew of the Antonio and Hamlet's friends soon seem to be getting the worst of things. Hamlet is knocked overboard, and clinging to life he drifts to the shores of England, where he awakes in the palace of Richard III.
Richard befriends the younger man, and shows him the grand ambitions Richard has for improving England, and Hamlet quickly comes to believe Richard is a benevolent ruler. Furthermore Richard tells Hamlet that he knew of Hamlet's coming through prophecy; he says that he believes that Hamlet is "The Shadow King", a figure that Richard says will kill a powerful and elusive wizard whose zealot followers (who call themselves the Prodigals) are behind uprisings and rebellion in Richard's realm. The name of the wizard? William Shakespeare.
To seal the deal, Richard takes Hamlet down to a secret room in his palace where Hamlet sees three Wyrd Sisters in Richard's service revive a sailor that had been killed in the fight aboard the Antonio. When Richard offers to revive Hamlet's father in the same manner, Hamlet quickly agrees and sets out to search the countryside with Richard and his soldiers. Along the way, Hamlet even starts to make a new friend: Iago. Not long after setting out, Hamlet winds up separated from the group in part thanks to Falsatff, who tells Hamlet that Richard and his ally Macbeth are cruel tyrants, and begs Hamlet to meet with the leaders of the Prodigals, (Juliet and Othello) and make up his own mind.
Hamlet is reluctant, and he doesn't exactly hit it off Juliet and company when he finally meets them, (in no small part because they believe The Shadow King is destined to be a savior both to them and Shakespeare, and they were Expecting Someone Taller) but the longer that he spends around both them and the common people, the more Hamlet comes to wonder about his new friends. Plagued by his doubts and visions sent by the Wyrd Sisters to drive him along, Hamlet must soon make some very important choices, and perhaps change the fate of a nation in doing so...
- Absolute Cleavage: Lady Machbeth when in her purple nightgown.
- Action Girl: Juliet
- Back From the Dead: Richard III promises Hamlet he'll bring his father back from the dead if he kills Shakespeare.
- Buried Alive: The fate of Macbeth.
- Disguised in Drag: Hamlet and Falstaff try this when in a bar, it didn't work.
- Eye Scream: Richard pulls out the eyes of one of the guards when Hamlet goes missing.
- Femme Fatale: Lady Macbeth
- The Good King: Subverted with King Richard III. He begins off being rather nice, showing Hamlet how he's a good king to his people but underneath all of that... it isn't pretty.
- Heel Face Mole: Iago, who spends a good amount of time trying to win their trust.
- La RĂ©sistance
- Reference Overdosed: All To Shakespeare.
- Ruling Couple: Macbeth and his lady, until she kills him and replaces him with Richard III.
- Til Murder Do Us Part: Lady Macbeth burying Macbeth behind a wall in the castle.
- Title Drop
- Unequal Pairing: Lady Macbeth and Macbeth, then her with Richard III.
- Your Cheating Heart: Lady Macbeth murders Macbeth and has a relationship with Richard... and Iago.